מתעניינים/ות בלימודים במכללה האקדמית כנרת?

    The Department of Tourism and Hotel Management

    Head of Department
    Dr. Eran Ketter
    Head of the MA Program
    Prof. Alon Gelbman

    Faculty Members
    Dr. Uzi Freund-Feinstein, Prof. Alon Gelbman, Dr. Eran Ketter, Dr. Orit Unger, Dr. Hila Zaban

    Professional Lecturers
    Prof. Yechezkel Israeli, Dr. Ronen Shay, Dr. Dalia Zelikovich, Mr. Michael Shwartz

    Department Coordinator
    Ms. Jenny Shpayer
    Tel: +972-46653795
    077-5653795 Fax:
    Reception hours: Sunday through Thursday 9:30-12:00, 13:30-15:30
    Email: Tourism@kinneret.ac.il

    Program details

    .This M.A. program provides knowledge and skills for top-level management in a global environment
    The second degree will provide knowledge and skills for top-level management in a global environment. The globalization era requires the appropriate training of top managers on a local level, and especially those who deal with management of international tourism and hotel systems, with a unique economic and business orientation. For this reason, most of the proposed courses open new directions. The program combines advanced research, planning, and management tools.

    The Executive M.A. in Tourism and Hotel Management program at Kinneret Academic College is designed to focus on strategies of tourism and hotel management that are suitable for the competitive and uncertain environment of an era of globalization and transnationalism. The program is designed to provide students with the tools and skills to manage global systems in tourism and hotel management such as international hotel chains, airlines, international tour operators, global online travel agencies (OTA), or to act in the positions of decision makers in governmental or international organizations. That is why the program is taught in English. Consequently, Israeli and foreign students from all over the world can study together, an advantage that can significantly boost multicultural and global discourse and cooperation.

    Credits, courses, project

    The program comprises 3 key components:

    1. Tourism Hospitality & Economy
    2. Strategic Management & globalization
    3. Elective courses

    All of the courses are single-semester courses; frontal lectures (“lessons”) are two hours per week (2 credits), while a seminar course is four hours per week (4 credits). In addition, each student must submit a supervised project paper (during the final semester), which is  also 4 credits. The total of required credits is 40, of which 32 credits are compulsory courses and 8 credits are electives. The 32 compulsory courses’ credits are divided as follows: 22 credits for lessons, 4 credits for seminar, and 6 credits for the final project.

    The program also includes several ‘completion’ courses (each two hours per week in one semester). These courses are designated for students with incomplete backgrounds from their B.A. degree. These courses do not grant credits. The requirement for completion courses is considered on an individual basis. Students must complete these courses before or during their first year in parallel to the M.A. courses.

    Program curriculum

     # Name of course Year/ semester Credits Yearly academic hours Lecturer
    A. Tourism & Hospitality
    1 Tourism and Globalization- Seminar 1 / A 4 2 Prof. Alon Gelbman
    2 The Global Hospitality Industry 1 / A 2 1 Dr. Ronen Shay
    3 Global Strategic Marketing in Tourism and Hospitality 1 / B 2 1 Dr. Eran Keter
    4 Innovation and Creativity in Tourism 1 / A 2 1 Dr. Orit Unger
    5 Tourism Crises Management and Resilience 2 / A 2 1 Dr. Eran Keter
    6 Marketing Research and Consumer Behavior Analysis 2 / A 2 1 Dr. Eran Keter
    7 Digital Marketing Management of Tourism and Hospitality 2 / B 2 1 Dr. Eran Keter
    B. Strategic Management
    8 Strategic Management in Tourism and Hospitality Industry 1 /A 2 2 Dr. Dalia Zelikovich
    9 Operations Research Applications in Tourism 1 / B 2 1 Prof. Yechezkel Israeli
    10 Data Analysis and Decision Making in Tourism and Hospitality 2 / A 2 1 Prof. Yechezkel Israeli
    11 Final Project – Strategic Management in Tourism 2 / B 4 2 Prof. Alon Gelbman
    C. Economics & Finance
    11 Revenue Management in Tourism and Hospitality 2 / A 2 1 Dr. Dalia Zelikovich
    D. Elective courses Academic discipline
    14 Tourism Management in Global Cities Tourism & Hospitality 2 1 Prof. Alon Gelbman
    15 Managing Tourism and Transportation in a Global Environment Tourism & Hospitality 2 1 Prof. Yechezkel Israeli
    16 Social and Environmental Conflict Resolution in Tourism Strategic Management 2 1 Dr. Hila Zaban
    17 Aviation Policy and Economy in a Global Era Tourism & Hospitality 2 1 Dr. Uzi Freund-Feinstein
    18 Tourism Experience Management in a Dynamic Environment Strategic Management 2 1 Prof. Yechezkel Israeli
    19 Tourism in Emerging Markets and Developing Countries Strategic Management 2 1 Prof. Alon Gelbman
    20 Managing International Religious Heritage Tourism Tourism & Hospitality 2 1 Dr. Hila Zaban
    21 Strategic Human Resource Management in Tourism and Hospitality Tourism & Hospitality 2 1 Dr. Yariv Itzkovich
    22 Global Trends in Alternative Tourist Accommodations Tourism & Hospitality 2 1 Dr. Orit Unger
    23 Tourism and Hospitality for the Business Travel Sector Tourism & Hospitality 2 1 Dr. Orit Unger
    24 Corporate Management, Mergers and Acquisitions Strategic Management 2 1 Dr. Dalia Zelikovich

    From Vision to Reality: Developing & Implementing a Hospitality Business

    Tourism & Hospitality

    2 1

    Mr. Michael Shwartz

    Course details

    Tourism and Globalization- Seminar:

    The seminar will outline the relationships between tourism and globalization. It will explore the nature of globalization and identify some of the processes facilitating greater global interconnectedness. The subject will also address the relationship between tourism and globalization in each one of the following areas: economic, political, and social.

    The Global Hospitality Industry:

    The course will discuss the global influence of the economic, political, and environmental issues in the hospitality industry. It will concentrate on general principles, techniques, concepts, of hotel operations and management. Students will examine the mechanisms employed in the management and operation. The course will address the global trends in food and its influence on the hospitality industry. A closer look at the “real world” styles of international hotels management.

These records of molecules were left in the piece by mistake =
┌──
Entry 1:
ORCA calculation (ωB97M-V with the def2-TZVPD basis set) on C40H38Br4FN4O3S2Y as an isolated structure.

Atoms and positions in Å:
Y: -1.04056 0.90350 -0.42744
N: -0.88010 -0.16709 3.07358
C: -1.80283 0.83165 2.97589
C: -2.36715 1.34552 4.16505
C: -3.27359 2.36894 4.07881
C: -3.63019 2.88104 2.82850
C: -3.03256 2.32744 1.72002
N: -2.13511 1.33216 1.78533
C: -0.35607 -1.07367 2.14394
C: 0.70596 -1.90807 2.54728
C: 0.83824 -3.09909 1.91160
C: -0.31039 -3.59378 1.06406
C: -0.79766 -2.36439 0.29140
N: -0.91076 -1.18803 0.89246
H: -0.60765 -0.38224 4.01594
H: -2.08781 0.92169 5.12162
H: -3.71364 2.77167 4.98337
H: -4.34290 3.68535 2.71847
H: -3.24400 2.69485 0.72089
H: 1.37964 -1.58643 3.33602
H: 1.65635 -3.78370 2.09198
H: -0.83319 -5.46736 0.11557
H: -1.58933 -1.69630 -1.47912
Br: -7.85037 0.65745 -3.02098
C: -6.11693 1.26127 -2.54571
C: -5.73542 2.56516 -2.79393
Br: -6.93515 3.79152 -3.60041
C: -4.43642 2.98271 -2.45373
Br: -3.86053 4.77297 -2.69949
C: -3.50735 2.10972 -1.89719
O: -2.29435 2.44390 -1.55466
C: -3.91404 0.75200 -1.62045
O: -3.04506 -0.00548 -1.02750
C: -5.21137 0.36751 -1.94927
Br: -5.67404 -1.42101 -1.54549
F: 0.00660 0.10335 -2.02155
C: 1.30262 2.10756 -3.76550
S: 0.68478 3.70210 -3.22352
C: -0.63656 3.83827 -4.43602
O: 1.71127 4.71818 -3.61854
H: 1.73025 2.23350 -4.76173
H: 0.49906 1.37212 -3.73925
H: 2.06653 1.80184 -3.05170
H: -1.37731 3.05983 -4.24796
H: -0.21238 3.76476 -5.43850
H: -1.10302 4.81022 -4.28967
N: -1.20655 -2.48112 -0.96838
S: 0.66434 -4.84954 -1.47488
C: 2.15207 -3.88287 -1.49098
C: 3.39622 -4.48077 -1.30098
C: 4.55619 -3.73244 -1.43179
C: 4.48291 -2.38629 -1.76677
C: 3.24550 -1.78680 -1.95213
C: 2.08267 -2.52999 -1.81174
C: 0.11529 -4.94472 0.26901
C: -1.49383 -3.97983 1.93547
C: -1.56212 -5.10288 2.70969
C: -0.66212 -6.17278 2.92044
C: 0.55500 -6.39229 2.24629
C: 0.99785 -5.82670 1.08539
H: -1.12300 -3.36806 -1.43017
H: 3.44544 -5.53747 -1.07431
H: 5.51948 -4.20577 -1.28033
H: 5.38758 -1.79774 -1.86338
H: 3.17396 -0.73027 -2.17854
H: 1.12015 -2.04615 -1.93440
H: -2.34211 -3.30462 1.91626
H: -2.48219 -5.17806 3.29037
H: -0.91572 -6.86050 3.72134
H: 1.23356 -7.10906 2.71175
H: 2.01526 -5.99231 0.75810
C: 1.65176 4.57364 1.61686
C: 1.38451 3.08784 1.46596
C: 1.32909 2.41683 2.82183
C: 0.56045 2.59272 0.33934
C: 2.13153 2.34260 0.31777
C: 2.64020 1.00028 0.59391
C: 3.85656 0.57790 0.14303
C: 4.65772 1.39268 -0.68106
C: 4.16401 2.65493 -1.05852
C: 2.96903 3.12246 -0.58687
H: 0.91024 5.00346 2.29917
H: 1.56731 5.10606 0.67070
H: 2.64372 4.77012 2.03831
H: 0.50128 2.84153 3.40165
H: 2.25518 2.58102 3.38481
H: 1.16111 1.34599 2.74863
H: 0.37050 3.43865 -0.33411
H: 2.03096 0.31259 1.17031
H: 4.18484 -0.42442 0.39372
H: 5.61087 1.03687 -1.05274
H: 4.73184 3.27195 -1.74757
H: 2.61592 4.09021 -0.92298

Computed properties:
Energy above the lowest of the compared OMol25 structures with the same formula, charge and spin ... 50.80 kcal per mole
Max |F| ... 0.00736 Eh/bohr
Total charge ... -2
└──
So much for the records of molecules =

    Global trends in alternative tourist accommodations:
    Accommodations are a key component of tourism as all travellers need a place to stay. While hotels are the most popular and recognized sort of lodging in the modern era, there are many other kinds of accommodation that have emerged in recent decades to suit traveller's different needs and desires. The current course focuses on the nature of global and local trends that advantage the prosperity of alternative accommodations. In this framework, the course addresses various theoretical concepts alongside global statistics and examples.

    From Vision to Reality: Developing & implementing a hospitality business
    This course will train you in the art of envisioning and building a successful model for a business. Will we review the different strategies, practice innovative thinking and how to monitor and learn from the results. The cource topics are: Vision and model – building the model for the chosen business; Market research + BI – understanding the business surroundings (business intelligence); From model planning to execution – planning the steps of constructing the business; Market mix and market share – identifying the relevant markets to the business in planning; Pricing – yield management; Branding – naming and positioning; The wind of change – innovation and adaptation; Tour in Tel Aviv’s chosen projects.

    Managing International Religious Heritage Tourism
    This course introduces students to the key concepts of heritage, including authenticity, nostalgia, political contestation, the heritagization of ordinary landscapes and places, and dark heritage. It describes the supply and demand elements of heritage tourism in the context of all types of cultural heritage. The course also specifically examines pilgrimage/religious tourism as an important part of heritage tourism. Understanding the religion and all of its material culture and intangible heritage (e.g. buildings, holy sites, beliefs, practices, pilgrimages, etc) are an important part of human heritage and a significant form of tourism in many parts of the world. The course will examine the impacts, outcomes, and management of religious tourism within the context of heritage tourism.

    Innovation and Creativity in Tourism:

    Innovation and creativity are crucial in the dynamics of the contemporary tourism ecosystem. As part of it, businesses in the tourism industry need innovation competencies to remain sustainably competitive in the future.  In order to explore and gain a broad knowledge of this valuable topic, the course is divided into two mains parts. In the introductory part, students learn about key concepts in the study of innovation management. Familiarity with these concepts provides students with a conceptual background for the second and main part of the course, which focuses on diverse forms of tourism innovations and creativity from different perspectives and methodologies.

    Tourism Crises Management and Resilience:

    In recent years, crises have become a familiar problem for a growing number of tourist destinations. In this turbulent era, having a crisis is not a question of "if" but a question of "when" and "how prepared will we be". The course aims to provide essential knowledge on crises in the tourism industry, educate the participants on the various tasks and missions of pro-active crisis management, and guide the students in creating a crisis management manual.

    Marketing Research and Consumer Behavior Analysis:

    The course provides an overview on marketing research and consumer behavior analysis in tourism. The course's focuses on three core issues: introduction to marketing research and its critical role in tourism development, management and marketing; key models and issues in analyzing the fundamental environments of the destination/ organization, the consumers and the competitors; and gaining an in-depth understating in the market research methods of survey, focus groups and netnographics. The course is aimed to enhance the understating of market research in tourism and hospitality, and provide practical tools for managing and analyzing research for organizations and destinations.

    Digital Marketing Management of Tourism and Hospitality:

    Marketing is a critical component for the tourism and hospitality industries, linking the tourism supply and demand systems. In recent years, the landscape of marketing has changed dramatically, resulting from new communication technologies and platforms. Such changes include the dominance of online search engines, social networks, and social media marketing, and the role of smartphones and mobile marketing. The course aims to provide essential knowledge on digital marketing in the digital society, educate the

    participants on the various tasks and missions of contemporary marketing, and guide the students in creating a digital marketing strategy.

    Strategic Management in Tourism and Hospitality Industry:

    Understanding the fundamental concepts in strategic management in general and specifically in tourism and hospitality businesses. Analysis the business, competitor analysis, external and internal strategy and the relationship of between the organization and the competitors. The students should be able to develop and implement a strategic plan, considering social responsibility, environmental aspects and should be able to assess the economic and market added value of the implemented strategy.

    Operations Research Applications in Tourism:

    Operations Research (OR) is a science of modeling and optimization by using scientific approaches to decision-making. Through mathematical modeling, it seeks to design, improve and operate complex systems in the best possible way. The aim of the course is to provide basic insights of the optimization process as a supporting tool for managers in decision making. The course illustrates the principal techniques and their application in the different tourism sectors, including the hotel industry and aviation.

    Data Analysis and Decision Making in Tourism and Hospitality:

    Efficient decisions in the tourism industry are based on information inferred through valid and clean data. Sources of data can be derived from official statistical reports or visitor surveys (from national to site level).  This course is designed to provide students with the necessary tools for analyzing, interpreting and presenting data needed for tourism business decisions. A variety of statistical tools will be examined that can be used to assist managers in the decision making process. The course combines teaching and seminars in the computer lab with group work on statistical packages. By the end of the course students will be able to utilize data through appropriate statistical tools and spreadsheet software to achieve the most confident decision.

    Final Project – Strategic Management in Tourism:

    The final project is a summarizing paper – in scope bigger than a seminar paper but smaller than a thesis. The project paper is the student’s final graduation requirement. The objective is to analyze, research, and develop a tourism issue concerning one of the topics discussed in the program (Strategic Management in the Globalization Era). The student is required to formulate a research question or problem, which will serve as a basis for the paper, and will guide the direction of investigation or inquiry.

    Revenue Management in Tourism and hospitality:

    Revenue Management, also known as yield management, is an essential practice in different industries aimed to maximize particular firm revenue. Revenue management was initially developed by the airline industry, and has extended to its current state as a common business practice in a wide range of industries. Each industry also has specific characteristics that determine the practical aspects of revenue management. This goal of

    this course is to identify and evaluate the revenue management principles, practices, and techniques applied by hotels. The course includes theoretical framework of hotel revenue management as a concept, analyses, and various other tools in the hoteliers’ arsenal.


    Elective courses:

+++
Entry 1:
C20H57N5O6 | ωB97M-V/def2-TZVPD

Cartesian coordinates (Å):
C (-1.9871, 0.6085, 3.3194)
O (-2.1873, -0.5243, 2.5292)
C (-1.0230, -1.3866, 2.5929)
C (-1.3881, -2.6474, 1.7968)
C (-0.4828, -3.8914, 2.0119)
N (-1.3400, -2.3772, 0.3831)
H (-1.1698, 1.3018, 3.1206)
H (-1.9774, 0.2456, 4.3471)
H (-2.8179, 1.3132, 3.2820)
H (-0.1581, -0.9167, 2.1247)
H (-0.7407, -1.7293, 3.5884)
H (-2.4094, -2.9533, 2.0235)
H (0.3777, -3.8829, 1.3430)
H (-0.9696, -4.8245, 1.7283)
H (-0.0194, -4.0708, 2.9821)
H (-2.0356, -1.6560, 0.2560)
H (-1.6497, -3.1788, -0.1476)
C (-0.6451, 2.7357, 0.5077)
O (-0.2334, 4.0265, 0.9217)
C (0.1934, 4.1655, 2.3149)
C (-1.0297, 4.5480, 3.2332)
C (-1.5776, 5.9078, 2.7628)
N (-0.5024, 4.7191, 4.5564)
H (-1.5676, 2.3708, 0.9593)
H (0.1408, 1.9805, 0.5190)
H (-0.8845, 2.7273, -0.5557)
H (0.6519, 3.2746, 2.7442)
H (0.9753, 4.9173, 2.2076)
H (-1.8080, 3.8025, 3.0702)
H (-2.1585, 5.8139, 1.8453)
H (-0.7923, 6.5705, 2.3992)
H (-2.2905, 6.3700, 3.4457)
H (0.2749, 5.3622, 4.5088)
H (-1.2413, 5.2842, 4.9499)
C (-3.6954, -4.0664, -1.5528)
O (-2.6072, -4.8549, -1.5191)
C (-1.7685, -4.9598, -2.7574)
C (-1.4145, -3.5338, -3.3845)
C (-0.8327, -3.6658, -4.8090)
N (-0.3659, -2.9742, -2.5416)
H (-3.3846, -3.0302, -1.4192)
H (-4.3532, -4.2693, -0.7077)
H (-4.2228, -4.2040, -2.4967)
H (-0.9008, -5.5374, -2.4387)
H (-2.2780, -5.5336, -3.5316)
H (-2.2770, -2.8715, -3.3098)
H (-1.4908, -4.2604, -5.4426)
H (0.1375, -4.1588, -4.8702)
H (-0.7108, -2.6720, -5.2400)
H (0.4077, -3.5620, -2.8176)
H (-0.4916, -3.1112, -1.5488)
C (2.4478, -0.6350, 1.3893)
O (3.3586, -0.4072, 2.5308)
C (4.0919, -1.5781, 2.8613)
C (5.1380, -1.3155, 3.9796)
C (6.2262, -0.3225, 3.6104)
N (5.8264, -2.5384, 4.3793)
H (3.0272, -0.6502, 0.4662)
H (1.8217, 0.2559, 1.3401)
H (1.9106, -1.5827, 1.4264)
H (3.4565, -2.4063, 3.1752)
H (4.7017, -1.8500, 1.9998)
H (4.5434, -1.0029, 4.8380)
H (7.0619, -0.2299, 4.3041)
H (5.6902, 0.6258, 3.5722)
H (6.5831, -0.6031, 2.6194)
H (5.3501, -3.3266, 3.9647)
H (5.6125, -2.7835, 5.3355)
C (-0.8338, -0.0037, -4.2614)
O (-1.3037, 1.3148, -4.1593)
C (-0.2382, 2.1920, -4.3755)
C (-0.7405, 3.6886, -4.1089)
C (-1.7576, 4.1218, -5.1366)
N (0.4278, 4.5577, -4.2039)
H (-1.7535, -0.5586, -4.0762)
H (0.0342, -0.2181, -3.6380)
H (-0.6702, -0.1192, -5.3328)
H (0.6306, 1.9602, -3.7594)
H (0.1542, 2.1829, -5.3924)
H (-1.2999, 3.8891, -3.1951)
H (-2.2494, 5.0664, -4.9043)
H (-2.4511, 3.3417, -5.4505)
H (-1.2674, 4.4122, -6.0659)
H (0.1280, 5.5205, -4.2603)
H (1.0455, 4.4549, -3.4114)
O (0.2195, -0.4044, -1.1033)
H (-0.2508, -0.8229, -0.3823)
H (0.0494, -0.9665, -1.8592)

Summary:
HOMO (eV): -9.049
Kohn-Sham gap (eV): 9.674
Total energy (Ha): -1521.2381
Relative energy (zero: lowest compared OMol25 entry of this formula, charge and spin) (kcal per mole): 74.2

Löwdin atomic charge list, values in e, 4 entries: -0.139 -0.168 -0.156 -0.401



Entry 2:
C20H58BF3HgO11S | ωB97M-V/def2-TZVPD

Cartesian coordinates (Å):
Hg (-15.7296, -5.1224, -4.0264)
+++

    Managing Tourism and Transportation in a Global Environment:

    The course is focused on the relationship between transportation and tourism in the global context. On one hand, transportation development was one of the main accelerators of tourism development; while on the other hand, the evolving manifestation of the tourism industry and the substantial changes in tourism behaviour required increasingly more sophisticated transport technologies. Tourism has been the highest of all types of mobility over the past decades.

    The course concentrates mostly on surface transport, as the accessibility to tourist destinations (from national level to individual site) is vital for having demand and creating an economic impact. Besides, focus is also given to other transport modes that have an influence on the international tourism long-haul travels, such as high-speed trains and the cruise industry. Aviation is mentioned briefly, as a specific elective course is dedicated to it.

    Tourism Management in Global Cities

    This course will cover the multifaceted aspects of urban tourism in global cities. The process and development of urban tourism and issues relating to urban destination management will be analyzed and discussed. Students will learn about the factors which influence the development of urban tourism in global cities and make the uniqueness of the destination. There is also emphasis on issues related to urban attractions, logistics of tourism flow, and other specific micro aspects which construe urban tourism management and development.

    Social and Environmental Conflict Resolution in Tourism:

    This is an advanced course designed to achieve assessments of different conflicts in relations between tourism, the environment and the community. The course will familiarize students with definitions and basic principles of conflict management and solution. Students will gain practical experience using simulation games and acquire in-depth knowledge and analytical skills relating to factors, interested parties and possible solutions of tourism conflicts. They will also carry out conflict assessments for existing tourism conflicts (in teamwork).

    Aviation Policy and Economy in a Global Era:

    The air transportation industry is highly regulated as well as capital and employment intensive, with global operations and effect on the tourism industry. This course will provide the students with knowledge regarding policy, regulatory and economic issues of the air transportation industry from a global perspective outlining the complexity of this industry.